Tuesday, April 27, 2010

Between two parts of the piece: data records
........
{"formula": "Pm3PrAl8", "functional": "PBE", "state": "optimized geometry", "ef_kj_per_mol_atoms": -49, "de_polymorph_mev_per_atom": 0, "total_magnetization_mub_per_cell": 0.0, "cell": [[2.835, 1.637, 9.278], [-2.835, 1.637, 9.278], [0.000, -3.273, 9.278]], "species": ["Pm", "Pm", "Pm", "Pr", "Al", "Al", "Al", "Al", "Al", "Al", "Al", "Al"], "frac_coords": [[0.000, 0.000, 0.000], [0.125, 0.125, 0.125], [0.500, 0.500, 0.500], [0.625, 0.625, 0.625], [0.062, 0.062, 0.562], [0.062, 0.562, 0.062], [0.063, 0.563, 0.563], [0.313, 0.313, 0.313], [0.562, 0.062, 0.062], [0.563, 0.063, 0.563], [0.563, 0.563, 0.063], [0.812, 0.812, 0.812]]}

{"formula": "Pm12Pr3Al", "functional": "PBE", "state": "optimized geometry", "ef_kj_per_mol_atoms": -1, "total_magnetization_mub_per_cell": 0.0, "cell": [[5.077, 0.000, 0.000], [0.000, 5.077, 0.000], [0.000, 0.000, 20.688]], "species": ["Pm", "Pm", "Pm", "Pm", "Pm", "Pm", "Pm", "Pm", "Pm", "Pm", "Pm", "Pm", "Pr", "Pr", "Pr", "Al"], "frac_coords": [[0.000, 0.000, 0.000], [0.000, 0.000, 0.242], [0.000, 0.000, 0.500], [0.000, 0.000, 0.758], [0.000, 0.500, 0.115], [0.000, 0.500, 0.372], [0.000, 0.500, 0.628], [0.000, 0.500, 0.885], [0.500, 0.000, 0.115], [0.500, 0.000, 0.372], [0.500, 0.000, 0.628], [0.500, 0.000, 0.885], [0.500, 0.500, 0.245], [0.500, 0.500, 0.500], [0.500, 0.500, 0.755], [0.500, 0.500, 0.000]]}

{"formula": "Pm12PrAl3", "functional": "PBE", "state": "optimized geometry", "ef_kj_per_mol_atoms": -11, "total_magnetization_mub_per_cell": 0.0, "cell": [[4.907, 0.000, 0.000], [0.000, 4.907, 0.000], [0.000, 0.000, 20.145]], "species": ["Pm", "Pm", "Pm", "Pm", "Pm", "Pm", "Pm", "Pm", "Pm", "Pm", "Pm", "Pm", "Pr", "Al", "Al", "Al"], "frac_coords": [[0.000, 0.000, 0.000], [0.000, 0.000, 0.240], [0.000, 0.000, 0.500], [0.000, 0.000, 0.760], [0.000, 0.500, 0.121], [0.000, 0.500, 0.363], [0.000, 0.500, 0.637], [0.000, 0.500, 0.879], [0.500, 0.000, 0.121], [0.500, 0.000, 0.363], [0.500, 0.000, 0.637], [0.500, 0.000, 0.879], [0.500, 0.500, 0.500], [0.500, 0.500, 0.000], [0.500, 0.500, 0.241], [0.500, 0.500, 0.759]]}

{"formula": "Pm3Pr12Al", "functional": "PBE", "state": "optimized geometry", "ef_kj_per_mol_atoms": -2, "total_magnetization_mub_per_cell": 0.0, "cell": [[5.127, 0.000, 0.000], [0.000, 5.127, 0.000], [0.000, 0.000, 20.900]], "species": ["Pm", "Pm", "Pm", "Pr", "Pr", "Pr", "Pr", "Pr", "Pr", "Pr", "Pr", "Pr", "Pr", "Pr", "Pr", "Al"], "frac_coords": [[0.000, 0.000, 0.000], [0.000, 0.000, 0.255], [0.000, 0.000, 0.745], [0.000, 0.500, 0.128], [0.000, 0.500, 0.384], [0.000, 0.500, 0.616], [0.000, 0.500, 0.872], [0.500, 0.000, 0.128], [0.500, 0.000, 0.384], [0.500, 0.000, 0.616], [0.500, 0.000, 0.872], [0.500, 0.500, 0.000], [0.500, 0.500, 0.256], [0.500, 0.500, 0.500], [0.500, 0.500, 0.744], [0.000, 0.000, 0.500]]}
........

I'm a Cracked Pot

I am powerless. I've spent many years of my life trying to convince myself otherwise. But lately, I’ve realized that I have no power. Not one single, solitary ounce of it.

Ben comes home late and I am sure to let him know how inconvenienced I am. Sophie is relentless with whining and I fire back in frustration with hurtful words. I knock over ten cans at the grocery store and let that swear word slip out. Then follows the self-hate talk. “Why did you say those things again? Last time you promised you wouldn’t make Ben feel bad for something out of his control... How could you speak like that to your two-year-old?... You just can’t do anything right. What kind of wife… what kind of mom… what kind of Christian are you?”

The theme of my life lately as been how weak I am. With this pregnancy I have been completely drained. I have never felt so exhausted and find myself wondering every morning how I will make it through work or the day of caring for my kids. I even fear slipping back into the depression that I've been gloriously set free from. Yet through those weaknesses, Christ has gently been speaking to me of HIS power. I have daily been praying for him to fill me up, but even through those prayers I’ve still been fighting the onslaught of “you’re not good enoughs” running through my mind.

And then came the conference. This was the 4th year for the Women Walking With God conference at my church. The theme this year was “By His Power.” All those gentle whispers from over the past few weeks suddenly became shouts as Christ spoke directly to my heart. With a verse I’ve read a million times before (2 Cor 4:7), he opened my eyes to new truths. You see, I AM a cracked pot. I am a fragile jar of clay that is completely and utterly destructible. There’s nothing I can do about it; that is the vessel God chose for me – chose for us all – when he made us. I am broken, I am weak, I am nothing.

But there is much more to the story. I am not enough, but HE fills me, HE is what is seen through all those holes in my façade. His light radiates through! I am powerless. But HE IS POWER.

For it truly was not of me to have the grace to simply say, “Okay, thanks for letting me know,” with the last minute warning that Ben’s Bible study was at our house last night. It was not my will that caused me to pause, breathe, and respond with tender words when Sophie’s plate full of peas hit the floor at lunch today. It certainly was not my humanness that spoke reminders to my heart of how I am a princess of the KING before yet another tear slipped from these eyes over this pregnant body.

Join me in praying for His power today. It is exhilerating to feel him at work. You have but to ask... he is waiting to do more than you can imagine.


Anonymous said...

Kelly I am truly amazed at your strength and devotion to your faith and your family. Everyone has gone through what you are going through and you can't feel too guilty for being a mother, a wife and having a career. Keep your faith it will keep you sane.

Michelle T said...

I love it! I'm bookmarking this very post to come back to when I have moments like those. I should have it memorized by the end of the week!

-- Inserted here: data records --
........
(1)
First-principles (PBE) data for Ca2Mn2As after structural relaxation, as listed in Alexandria via LeMat-Bulk.

Energy above the lowest structure with this stoichiometry (meV per atom): 366

Unit cell a=7.6336 b=7.6336 c=4.6463 alpha=90.00 beta=90.00 gamma=90.00
Closest atoms and distances in Å follow each position.
Space group P4/mbm (No. 127)
Inequivalent atoms, fractional coordinates:
Ca  0.1654  0.3346  0.0000 (multiplicity 4)  2 As 2.85
Mn  0.1245  0.6245  0.5000 (multiplicity 4)  1 Mn 2.69
As  0.0000  0.0000  0.0000 (multiplicity 2)  4 Ca 2.85

(2)
First-principles (PBE) data for CaMn5As4 after structural relaxation, as listed in Alexandria via LeMat-Bulk.

Unit cell a=9.9171 b=9.9171 c=3.6531 alpha=90.00 beta=90.00 gamma=90.00
Closest atoms and distances in Å follow each position.
Space group P4/nmm (No. 129, origin choice 2)
Inequivalent atoms, fractional coordinates:
Ca  0.2500  0.7500  0.0000 (multiplicity 2)  4 As 2.84
Mn  0.0965  0.0965  0.1342 (multiplicity 8)  4 As 2.55-2.56, 1 Mn 2.71
Mn  0.2500  0.2500  0.5862 (multiplicity 2)  4 As 2.46, 4 Mn 2.71
As  0.0023  0.2500  0.6347 (multiplicity 8)  5 Mn 2.46-2.56

(3)
First-principles (PBE) data for CaMn2As after structural relaxation, as listed in Alexandria via LeMat-Bulk.

Unit cell a=3.3871 b=3.3871 c=6.7727 alpha=90.00 beta=90.00 gamma=90.00
Closest atoms and distances in Å follow each position.
Space group P4/mmm (No. 123)
Inequivalent atoms, fractional coordinates:
Ca  0.0000  0.0000  0.0000 (multiplicity 1)  8 Mn 3.21, 2 As 3.39, 4 Ca 3.39
Mn  0.5000  0.5000  0.3146 (multiplicity 2)  1 Mn 2.51, 4 As 2.70
As  0.0000  0.0000  0.5000 (multiplicity 1)  8 Mn 2.70

(4)
First-principles (PBE) data for CaMn2As after structural relaxation, as listed in Alexandria via LeMat-Bulk.

Unit cell a=4.1633 b=4.1633 c=4.3584 alpha=90.00 beta=90.00 gamma=90.00
Closest atoms and distances in Å follow each position.
Space group P4/mmm (No. 123)
Inequivalent atoms, fractional coordinates:
Ca  0.0000  0.0000  0.0000 (multiplicity 1)  4 As 2.94, 8 Mn 3.01
Mn  0.0000  0.5000  0.5000 (multiplicity 2)  4 Mn 2.94, 4 Ca 3.01, 4 As 3.01
As  0.5000  0.5000  0.0000 (multiplicity 1)  4 Ca 2.94, 8 Mn 3.01

(5)
First-principles (PBE) data for CaMnAs2 after structural relaxation, as listed in Alexandria via LeMat-Bulk.

Unit cell a=3.3818 b=3.3818 c=26.4614 alpha=90.00 beta=90.00 gamma=120.00
Closest atoms and distances in Å follow each position.
Space group R3m (No. 160, hexagonal axes)
Inequivalent atoms, fractional coordinates:
Ca  0.0000  0.0000  0.0000 (multiplicity 3)  3 As 3.02, 3 Mn 3.28
Mn  0.0000  0.0000  0.7662 (multiplicity 3)  3 As 2.38
As  0.0000  0.0000  0.2464 (multiplicity 3)  3 Ca 3.02, 3 As 3.19
As  0.0000  0.0000  0.4844 (multiplicity 3)  3 Mn 2.38

(6)
First-principles (PBE) data for CaMnAs2 after structural relaxation, as listed in Alexandria via LeMat-Bulk.

Unit cell a=4.0091 b=4.0091 c=10.0044 alpha=90.00 beta=90.00 gamma=90.00
Closest atoms and distances in Å follow each position.
........

Thanks for the reminder and perfect synopsis of the conference!!

Ryan Corcoran said...

It's amazing, really... As I was reading that, it was almost like my own wife had written that (except for the kids part). She struggles with the exact same type of stuff, and I feel so bad for her, because I don't know how to help her. It's easy for me to tell her the same thing I tell myself, "let go, and let God," but that's always easier said than done. Just remember that God dwells in his church, and all you have to do is reach out for help, and another part of the body will take care of it.

The Hudkins Family said...

He is my strength everyday. My son wears me out. I can not make it through a single day without relying on God.

D's Mom said...

Beautiful writing and very true words. TRUE strength comes from Him!

Love you sis.

Grandma Eroh said...

Sweet Kelly, Beautiful words. You are so much like your mother, except that your faith at this stage in your life is immeasurably more than mine was! What a wonderful reminder of a powerful conference! God filled my cracked pot with the love I felt having my daughters there with me. I love you, Kell Bell!

Shyla said...

Thanks for the post. Your honesty helped me see all the ways I'm afraid to admit I am weak and can't make it on my own. You have challenged me to be more vulnerable and open. It's okay to be weak and full of God's strength and not my own

Amy in Edmond said...

You are an amazing person to share some very personal things on your blog with others.

God will bless you.

Thanks for your example.

John and Megan said...

I understand and rejoice with you in the power of HIS strength. Thanks for your honesty.

kauffeegrl said...

Thanks for being "real" and reminding me that it is only through our weakness that He is made strong.

Sada said...

I have goosebumps from reading. It was such a great weekend. It's amazing how comfortable I feel with my own weaknesses when I'm focused on HIS power. Glad I got to see you at the conference!

Damon and Amy said...

Kelly, Thanks for your encouragement at the conference. It was wonderful to just sit and visit and to hug your neck. That short time together reminded me of how much I miss you Eroh girls :)

Unknown said...

Records of crystals that have nothing to do with the page.
# KNa3F

A PBEsol-optimized structure of KNa3F (meta-GGA SCAN, Alexandria via LeMat-Bulk).

Cell lengths 6.5482, 6.5482, 6.5482 Å; angles 90.00, 90.00, 90.00 degrees
Positions (direct):
Na1 0.0000 0.5000 0.0000
Na2 0.0000 0.0000 0.5000
Na3 0.5000 0.0000 0.0000
K1 0.0000 0.0000 0.0000
F1 0.5000 0.5000 0.5000

The value obtained for the size of the total moment is 0.00 Bohr magnetons per cell. For the density of states at the Fermi level, the calculation gives 0.718 states/eV per atom. Its uncorrected formation energy is 0.09 eV/atom.

* * * * *

No. 1
An optimized crystal structure of LaNiF2. Source: Alexandria, functional PBE with a Hubbard U.

Summary:
* energy relative to the lowest polymorph listed for this composition: 0.321 eV/atom
* volume: 228.6 Å³ per cell

```
data_LaNiF2
_chemical_formula_sum 'La4 Ni4 F8'
_cell_length_a 6.1144
_cell_length_b 6.1144
_cell_length_c 6.1144
_cell_angle_alpha 90.00
_cell_angle_beta 90.00
_cell_angle_gamma 90.00
_space_group_name_H-M_alt 'F m -3 m'
_space_group_IT_number 225
_space_group_name_Hall '-F 4 2 3'
loop_
_atom_site_label
_atom_site_fract_x
_atom_site_fract_y
_atom_site_fract_z
La1 0.0000 0.0000 0.0000
Ni1 0.0000 0.0000 0.5000
F1 0.2500 0.2500 0.2500
```

=====

No. 2
An optimized crystal structure of LaNi3F. Source: Alexandria, functional PBE with a Hubbard U.

Summary:
* energy relative to the lowest polymorph listed for this composition: 1.421 eV/atom
* volume: 101.7 Å³ per cell

```
data_LaNi3F
_chemical_formula_sum 'La1 Ni3 F1'
_cell_length_a 4.6681
_cell_length_b 4.6681
_cell_length_c 4.6681
_cell_angle_alpha 90.00
_cell_angle_beta 90.00
_cell_angle_gamma 90.00
_space_group_name_H-M_alt 'P m -3 m'
_space_group_IT_number 221
_space_group_name_Hall '-P 4 2 3'
loop_
_atom_site_label
_atom_site_fract_x
_atom_site_fract_y
_atom_site_fract_z
La1 0.0000 0.0000 0.0000
Ni1 0.0000 0.0000 0.5000
F1 0.5000 0.5000 0.5000
```

=====

No. 3
An optimized crystal structure of La3NiF. Source: Alexandria, functional PBE with a Hubbard U.

Summary:
* volume: 163.6 Å³ per cell
* calculated total energy: -0.288 Ry per atom

```
data_La3NiF
_chemical_formula_sum 'La3 Ni1 F1'
_cell_length_a 5.4698
_cell_length_b 5.4698
_cell_length_c 5.4698
_cell_angle_alpha 90.00
_cell_angle_beta 90.00
_cell_angle_gamma 90.00
_space_group_name_H-M_alt 'P m -3 m'
_space_group_IT_number 221
_space_group_name_Hall '-P 4 2 3'
loop_
_atom_site_label
_atom_site_fract_x
_atom_site_fract_y
_atom_site_fract_z
La1 0.0000 0.0000 0.5000
Ni1 0.0000 0.0000 0.0000
F1 0.5000 0.5000 0.5000
```

=====

No. 4
An optimized crystal structure of La3Ni5F12. Source: Alexandria, functional PBE with a Hubbard U.

Summary:
* volume: 2458.6 Å³ per cell
* calculated total energy: -0.339 Ry per atom

```
data_La3Ni5F12
_chemical_formula_sum 'La24 Ni40 F96'
_cell_length_a 13.4968
_cell_length_b 13.4968
_cell_length_c 13.4968
_cell_angle_alpha 90.00
_cell_angle_beta 90.00
_cell_angle_gamma 90.00
_space_group_name_H-M_alt 'I a -3 d'
_space_group_IT_number 230

I am so sad I was unable to make the conference this year. I really could have used a refresher in my faith. So glad you were able to get so much from the conference, very well said!

Tabs said...

Kelly, thank you for sharing. I really needed to read that right about now. You always have been and always will be a wonderful woman of God. Thanks for being real.